What Chinese Wellbeing Trends, Goldman Sachs Salaries, and Star-Olympians Tell Us About Mental Wellbeing

In a moment that caught the public’s attention, the world’s greatest gymnast, Simone Biles, pulled out of the world’s greatest sporting event, the Olympics, to “focus on her mental health”. In Mainland China, the trend among the young is to opt out of stressful jobs. And Wall Street is paying dearly for high burnout risk. What does this tell us? Seems like the sustainability trend is no longer only about how we consume – it’s also about how we work.
We’re tired of stress – and now people are opting out
In the critically acclaimed documentary, “The Last Dance”, Michael Jordan and the Chicago Bulls go for their sixth NBA title. They win – but that’s not what stuck with me. What stuck was the image of a successful, loved Michael Jordan – at the height of his professional career – filmed in a huge mansion, drinking copious amounts of alcohol, and hating everyone. He won in sports but seems to have lost in life.
This may be what gymnast Simone Biles, who opted out of several of the Tokyo games, and tennis player Naomi Osaka, who withdrew from the French Open before her, opted out of. After a shaky performance in team finals, Biles pulled out of four of five individual finals to “focus on her mental health”. Apparently Biles suffered from something gymnasts call “the twisties”, where the body and brain just won’t cooperate, and the gymnast is unable to perform a routine done thousands of times before. So instead of pushing through to win at any cost, she did something unheard of in elite sports – she pushed pause.
Athletes are not alone in this. In what might be the most confusing wellbeing trend of the year, Mainland China’s young are now ”lying flat”: opting out of stressful jobs, abandoning the hamster wheel, and focusing on quality of life. The Financial Times writes about it as a rejection of the Chinese model that has “delivered extraordinary growth … by enlisting the maximum effort from its people”. In response to the “lying flat” phenomenon, an official spokesman for Beijing talked up “the splendour of struggle and endeavour”, ending with a somewhat desperate “Young people, come on!” Something similar is happening in Taiwan where a practice called “ya miao”, or “squeezing the second”, has become a passive-aggressive way for employees to revolt against long hours.
What do Biles and people in Mainland China and Taiwan have in common? High pressure and high effort – for an extended period – leading to a tipping point where you say: “Enough”.
The business world is sharing this sentiment. Over the last 18 months, mental wellbeing and burnout have become major topics for companies globally. Studies show that 40% of employees struggle with mental health issues stemming from the pandemic, and nearly 60% of leaders feel used up at the end of the workday, a strong indicator of burnout. So when Wharton psychologist Adam Grant wrote about “languishing” earlier this year – a sense of stagnation, emptiness, and general “blah” – there was an outpouring of people feeling seen and understood. What’s interesting about languishing is that it is not about mental ill-health – it’s not e.g. depression or burnout – it’s almost beyond that: caring less, checking out, a general dullness. (Probably makes you inclined to “lie flat”.)
**These data records were left in the entry by mistake**
____________
AcHfPaN4 | GGA-PBE | optimized geometry

Computed properties:
For the uncorrected formation energy, the calculation gives -1281 meV/atom. The density of states at the Fermi level comes out at 0.2 states/eV per cell.

Lattice parameters (Å, degrees): 6.982 6.982 5.970 90.00 90.00 130.35
Fractional coordinates of all 14 atoms:
Ac (0.105, 0.895, 0.750)
Ac (0.895, 0.105, 0.250)
Hf (0.242, 0.758, 0.250)
Hf (0.758, 0.242, 0.750)
Pa (0.384, 0.616, 0.750)
Pa (0.616, 0.384, 0.250)
N (0.000, 0.500, 0.000)
N (0.000, 0.500, 0.500)
N (0.082, 0.918, 0.250)
N (0.455, 0.545, 0.250)
N (0.500, 0.000, 0.000)
N (0.500, 0.000, 0.500)
N (0.545, 0.455, 0.750)
N (0.918, 0.082, 0.750)

=====

Material: Ba2TlPd5Au2
Method: DFT, PBE
State: optimized geometry

Values from the calculation:
Total energy = -4.2589 eV/atom
Total magnetic moment = 0.00 μB per atom
Space group = P4/mbm (127)

Cell lengths 10.4193, 10.4193, 4.0843 Å; angles 90.00, 90.00, 90.00 degrees
Fractional coordinates of all 20 atoms:
Ba: 0.1748 0.3252 0.0000
Ba: 0.3252 0.8252 0.0000
Ba: 0.6748 0.1748 0.0000
Ba: 0.8252 0.6748 0.0000
Tl: 0.0000 0.0000 0.0000
Tl: 0.5000 0.5000 0.0000
Pd: 0.0000 0.5000 0.5000
Pd: 0.0585 0.8011 0.5000
Pd: 0.1989 0.0585 0.5000
Pd: 0.3011 0.5585 0.5000
Pd: 0.4415 0.3011 0.5000
Pd: 0.5000 0.0000 0.5000
Pd: 0.5585 0.6989 0.5000
Pd: 0.6989 0.4415 0.5000
Pd: 0.8011 0.9415 0.5000
Pd: 0.9415 0.1989 0.5000
Au: 0.1237 0.6237 0.0000
Au: 0.3763 0.1237 0.0000
Au: 0.6237 0.8763 0.0000
Au: 0.8763 0.3763 0.0000

=====

Entry 1:
The following is a DFT calculation (GGA-PBEsol) of crystalline Co3Ni9P4 at its relaxed geometry.

Computed properties:
energy of formation from the pure elements: -457 meV per atom
mass density: 8.19 g/cm3

Unit cell a=4.293 b=6.610 c=6.611 alpha=84.20 beta=71.11 gamma=71.17
Space group P1 (No. 1)
Asymmetric unit:
Co: 0.000 0.000 0.000 x1
Co: 0.211 0.640 0.936 x1
Co: 0.532 0.785 0.154 x1
Ni: 0.245 0.487 0.569 x1
Ni: 0.273 0.871 0.575 x1
Ni: 0.400 0.209 0.016 x1
Ni: 0.518 0.153 0.363 x1
Ni: 0.692 0.854 0.783 x1
Ni: 0.804 0.218 0.633 x1
Ni: 0.838 0.431 0.916 x1
Ni: 0.872 0.420 0.299 x1
Ni: 0.928 0.769 0.357 x1
P: 0.093 0.057 0.300 x1
P: 0.290 0.155 0.728 x1
P: 0.389 0.486 0.206 x1
P: 0.662 0.582 0.634 x1

---

Entry 2:
The following is a DFT calculation (GGA-PBEsol) of crystalline Al2Si2Pb at its relaxed geometry.

Computed properties:
VASP energy: -4.597 eV per atom
mass density: 5.42 g/cm3

Unit cell a=4.452 b=4.452 c=9.817 alpha=90.00 beta=90.00 gamma=90.00
Space group I4/mmm (No. 139)
Asymmetric unit:
Al: 0.000 0.500 0.250 x4
Si: 0.000 0.000 0.120 x4
Pb: 0.000 0.000 0.500 x2

---

Entry 3:
The following is a DFT calculation (GGA-PBEsol) of crystalline TcTeIr2 at its relaxed geometry.

Computed properties:
VASP energy: -8.221 eV per atom
mass density: 16.31 g/cm3

Unit cell a=3.952 b=3.952 c=7.955 alpha=90.00 beta=90.00 gamma=90.00
Space group I4/mmm (No. 139)
Asymmetric unit:
Tc: 0.000 0.000 0.000 x2
Te: 0.000 0.000 0.500 x2
Ir: 0.000 0.500 0.250 x4

---

Entry 4:
____________
**The entry goes on**
What does this tell us? Our society has long idealised the “win at all cost” mentality: long hours, workaholism, and single-minded dedication to career success. But it seems that the extended pressure and stress of modern life, exacerbated by the uncertainty and isolation of a long pandemic, is causing a counterreaction. We’re just so tired of the stress and an unsustainable lifestyle, that we’re increasingly opting out, preferring to “lie flat”. This makes me think: have we reached “peak stress”? Could this be the beginning of a trend towards truly sustainable work?
A prominent example of a budding sustainable work trend comes from the heart of un-sustainable work: Wall Street.
The price of burnout skyrockets
It was not a good day for investment banking HR. “77% feel like victims of workplace abuse”, “100% have had work hours negatively impact relationships“, and “I’ve been through foster care and this is arguably worse”, read some of the highlights in a presentation by a group of Goldman Sachs analysts in February 2021. Citing 95-hour average work weeks, sleep time starting at 3am, and personal quotes about how the gruelling hours affected their mental health, the presentation went viral.
After some half-hearted changes like giving some weekends off “except when working on an active deal”, Goldman turned to their core competence: money. The investment bank increased first-year analysts’ base wage to $110,000, up from around $86,000 (in addition to the annual bonus, which can be multiples of base salary).
Goldman Sachs probably says this is about competitive pressure on pay. What it tells me is this: if an employer offers gruelling working conditions, this is the price they must pay to continue getting top talent. It’s the going rate for burnout and sacrificing your personal life.* And even then – will you get a diversified pool of top talent, or will you start attracting money-hungry “mercenaries” (to their credit, apparently a concern within Goldman Sachs, too), and how might that impact your culture?
-- Someone pasted crystal structures at this point --
........
First-principles (PBE-GGA) data for a relaxed BaSnHg2Pb crystal, as listed in the Open Quantum Materials Database.

The energy above the lowest structure with this stoichiometry comes out at 0.0 meV/atom.

The space group is P4/nmm (No. 129, origin choice 2) and the conventional cell measures 5.053, 5.053 and 12.301 Å, with angles of 90.00, 90.00 and 90.00 degrees. Symmetry generates all atoms from Ba at (0.250, 0.250, 0.231), Sn at (0.250, 0.250, 0.874), Hg at (0.250, 0.250, 0.646), Hg at (0.250, 0.750, 0.000) and Pb at (0.250, 0.750, 0.500).
........
Money aside, the main cost of high burnout risk, I would argue, is human suffering. We’re past the point when we can simply say that overwork is “risk-free” or “how it’s always been”. A recent extensive study by the World Health Organization and the International Labour Organization busted those myths. They concluded that long working hours (defined as 55 hours a week or more) killed 745,000 people in 2016. About half were from stroke, the other half from heart disease. The death rate was up by 29 percent since 2000, and the number of people working long hours is increasing.
So the price for companies – in terms of cost and talent attraction – is high. But it’s always the individual who ends up paying the highest price for unsustainable work.
Sustainable life, sustainable work
In short: how we’re working is not working. The pressure and stress of super-human performance at all cost – be it in business or sports – without regard to human psychology, emotions, vulnerabilities, and physiological realities, is not sustainable. As a result, too many of us end up checked out, burned out, or languishing.
The upside is that “sustainability” is now a buzz-word. Sustainable consumption, sustainable living, sustainable choices – environmental actions to ensure also our grandchildren can enjoy this planet. So can we extend this to encompass the idea of sustainable work, too? Can we come up with a sustainable way of working to ensure that not only our grandchildren, but our generation, too, would better enjoy working life?
One thing gives me hope. Previously, we would have said that Michael Jordan winning his sixth NBA championship was an example of ideal mental toughness – pushing through and winning at all cost. Now, our idea of “mental toughness” is changing. What do you think is more difficult for a top athlete: to keep playing like everyone expects, or to pause, reflect, and say “Enough”? When Simone Biles withdrew to focus on her mental health, she was inundated by support. Athletes, fans, sponsors – all came out in her favour, and several opened up about their own struggles, too.
Examples like this show that the tide is turning. Mental health is slowly becoming de-stigmatised, and the hope is that future generations of athletes can learn a more multi-faceted view of mental toughness, including mental resilience and mental flexibility. Alongside that, we can hopefully let go of the one-sided ideal of long hours as the primary source of success, and instead learn a model of sustainable work: to pace our effort for when it matters, create personally relevant rhythms to work and life, and optimise our performance. In short, putting the human element back into the equation of successful, sustainable work.
* If you are Goldman Sachs or identify with them, please don’t hesitate to reach out to discuss. At Hintsa we do not believe sustainable work means giving up on high performance, quite the contrary.